We look at case management systems, functionality, services and programs ever day at Global Vision Technologies.
Does Your Case Management Software Look Like This?
Topics: Technology Speak, FAMCare
Ma, Pa and their young son have lived in the country their whole life. They finally decided that they wanted to go into the city to see what there was to see there. They load up the family wagon with supplies for the day and the three of them hop in and ride into the city. The first stop they make is a shopping mall, which was something the likes of which they had ever seen before. As soon as they step in the door Ma is overtaken and runs off to look at the various shops leaving Pa and his son standing dumfounded. They look and they see a pair of metal doors a little ways away from them. As they watch, an old lady hobbles up to the doors, pushes a button next to them and the doors open. She steps in and the doors close. Pa and his son watch the numbers on top of the doors go up, and then back down and when the doors open again a bombshell blonde steps through the doors. Pa looks at his son and says “Go find your Ma”!
A few months back our accounting specialists previewed the new FASB directives that were being finalized for nonprofits. Well, the new FASB standards have finally been issued and below is a brief summary of what they are all about.
Topics: Nonpropfit Accounting
This sure has been one of the hottest summers of record. And even now when September typically welcomes in the fall - the temperatures are still upwards of 80s/to low 90s and around dinnertime - they're scorching.
-- Data records, as found in the file --
____________
{"formula": "C22H35BrO2P2Pt", "method": "ωB97M-V with the def2-TZVPD basis set", "symbols": ["H", "C", "Pt", "H", "C", "C", "C", "H", "H", "H", "C", "H", "H", "C", "C", "H", "C", "H", "P", "O", "H", "C", "H", "H", "H", "H", "C", "H", "H", "H", "H", "C", "H", "H", "C", "H", "H", "Br", "H", "H", "H", "C", "O", "H", "H", "C", "C", "C", "H", "C", "H", "C", "H", "H", "H", "C", "H", "C", "C", "P", "H", "C", "H"], "xyz": [[-1.602, -2.171, 3.079], [4.316, -4.708, 5.176], [0.223, -1.068, 1.372], [-2.835, -0.003, 2.885], [-1.026, 4.253, -3.149], [-3.301, 1.473, -4.137], [-2.023, 1.988, -4.856], [0.713, 2.937, -2.878], [-1.237, 1.859, -0.252], [-2.289, -2.236, -0.498], [-0.760, 1.936, -4.042], [-1.872, 1.343, -5.737], [-0.174, 1.015, -4.169], [0.038, 0.463, -1.361], [4.786, -4.502, 3.872], [-0.015, -3.046, 3.004], [-3.423, 1.816, -2.680], [-3.202, 3.210, -1.096], [1.390, -0.182, -0.302], [1.983, -1.976, 1.827], [1.840, 1.839, 0.921], [-2.840, -1.577, 0.186], [2.865, 1.724, -0.560], [-2.207, 3.002, -5.241], [-0.145, -0.282, -2.154], [-3.528, 1.111, 1.667], [2.907, -2.746, 4.987], [0.429, 1.353, -1.858], [2.202, -2.020, 5.402], [2.821, -0.941, -2.091], [-0.818, 4.897, -4.023], [2.439, 1.171, 0.287], [-2.877, 5.085, -2.447], [-3.943, 1.070, -2.063], [-1.261, 0.822, -0.624], [-1.941, 1.475, 2.424], [5.535, -5.161, 3.442], [4.981, -3.070, 1.387], [3.052, -3.949, 6.767], [-0.141, -1.491, 3.897], [-4.182, 1.852, -4.685], [-2.597, 0.677, 2.055], [2.879, -0.309, 3.095], [-3.330, 0.377, -4.240], [4.677, -5.565, 5.747], [4.296, -3.439, 3.109], [-0.512, -2.066, 3.035], [3.321, -2.583, 3.658], [-3.717, -1.162, -0.329], [-3.068, 3.003, -2.165], [-0.614, 4.783, -2.277], [-0.302, 2.948, -3.302], [-3.050, 4.200, -3.963], [-3.175, -2.164, 1.053], [3.209, -1.698, -0.497], [2.402, -1.384, -1.177], [-2.092, 0.774, -1.330], [-2.571, 4.166, -2.973], [2.691, -1.496, 2.820], [-1.727, -0.269, 0.785], [1.785, -2.260, -1.424], [3.391, -3.821, 5.737], [3.231, 0.725, 0.907]], "forces_ev_per_a": [[0.25, 0.17, -0.37], [-1.30, -0.67, 3.48], [-0.41, -0.35, 0.90], [0.00, 0.23, -0.18], [-0.10, 0.43, 0.28], [0.02, -0.36, -0.31], [-0.30, -0.11, -0.39], [-0.42, -0.19, -0.12], [0.04, -0.35, -0.11], [-0.17, 0.19, 0.18], [0.32, -0.05, -0.15], [-0.09, 0.31, 0.22], [-0.08, 0.41, 0.17], [0.28, -0.36, -0.11], [1.84, -0.41, -3.16], [-0.23, 0.28, -0.16], [-0.43, 0.98, 0.08], [-0.03, -0.24, -0.26], [-0.19, 0.74, -0.66], [1.36, -0.16, 1.21], [0.20, -0.15, -0.21], [-0.05, 0.08, 0.05], [-0.06, -0.13, 0.17], [0.26, -0.41, 0.12], [0.07, 0.18, 0.37], [0.21, -0.11, 0.10], [-1.43, 0.22, 3.50], [-0.12, -0.16, 0.02], [0.41, -0.33, -0.01], [-0.06, -0.12, 0.19], [-0.02, -0.18, 0.33], [0.04, -0.16, 0.03], [0.04, -0.26, -0.30], [0.29, 0.30, -0.07], [-0.48, 0.08, 0.17], [-0.19, -0.19, -0.08], [-0.12, 0.17, 0.10], [-0.36, -0.57, 1.56], [0.11, -0.06, -0.33], [-0.05, 0.16, -0.38], [0.26, -0.19, 0.17], [-0.10, 0.09, -0.06], [-0.36, -1.76, -0.03], [-0.07, 0.26, 0.03], [-0.12, 0.35, -0.17], [0.35, 0.70, -1.16], [-0.17, -1.31, 1.77], [0.52, 1.48, -4.09], [0.19, -0.07, 0.16], [-0.49, -0.45, -0.09], [-0.04, -0.12, -0.25], [0.15, 0.11, -0.64], [0.03, -0.06, 0.50], [0.04, 0.10, -0.29], [-0.31, 0.15, -0.33], [0.10, -0.12, -0.01], [0.33, 0.25, 0.06], [0.09, 0.54, -0.10], [0.08, 0.67, -0.36], [0.15, 0.37, -0.89], [0.21, 0.27, 0.00], [0.31, -0.37, 0.11], [-0.23, 0.28, -0.20]], "relative_energy_ev": 0.000, "max_force_ev_per_a": 4.384, "charge": 2, "homo_lumo_gap_ev": [5.83, 3.15], "spin_multiplicity": 5, "lumo_energy_ev": [-6.00, -10.19]}
____________
Topics: Fun Stuff
I often start my day by opening up a browser and checking the weather. A couple months ago when the weather site loaded, it looked completely different! It took me a few minutes to learn the navigation of the site and all was well. But why did they change the site? It appears there was no new or different information--it was simply a cosmetic upgrade with different navigation. I felt a few minutes of my life had been wasted for no reason.
Topics: Global Vision Technologies, FAMCare Tips and Tools, FAMCare
The Case for a Flip Phone... Time to Disconnect from the Craziness?
Recently, I was at a conference with a client offering a presentation on software implementation. While preparing for the presentation, a conversation occurred with the client that really made me stop and think.
A few days before the training I called this client to review everything and confirm we were ready for our presentation. I asked for her cell phone number so we could connect the day before at the conference. She replied, “Do not laugh at me, I still have a flip phone”. After a short pause, I was not sure what to say. This client is one of the most technically savvy project managers I have worked with in my career. She can write HTML and SQL very well and is responsible for automating her entire workflow of five departments and 125 staff members, and yet she has a phone that I had 20 years ago when I first got out of college. Then just when I thought it could not get any more interesting, she stated that I have to text her “Yes” or “No” questions because she does not know how to text on it and she can only text back one letter.
Topics: Technology Speak, Fun Stuff
-- begin --
[1]
Entry from the Open Molecules 2025 dataset: one molecule with the formula C5H8N2S2 in a non-equilibrium geometry (ωB97M-V/def2-TZVPD).

Bonds (Å) are listed after each position.
CARTESIAN COORDINATES (ANGSTROEM)
1 C 3.297 -0.541 -1.181  N6 1.380, S8 1.776, H10 1.079
2 C 1.180 -0.164 -0.244  C5 1.412, N6 1.207
3 C -0.852 -0.272 1.183  C5 1.527, H11 1.095, H12 1.071, H13 1.087
4 C -0.830 -0.131 -1.306  C5 1.495, H14 1.117, H15 1.046, H16 1.025
5 C -0.142 0.290 -0.047  C2 1.412, C3 1.527, C4 1.495, S9 1.778
6 N 1.918 -0.528 -1.127  C1 1.380, C2 1.207
7 N 2.976 0.903 0.954  S8 1.486
8 S 4.086 0.388 0.110  C1 1.776, N7 1.486
9 S -0.188 2.060 0.118  C5 1.778, H17 1.471
10 H 3.694 -1.227 -1.914  C1 1.079
11 H -1.888 0.058 1.318  C3 1.095
12 H -0.235 -0.062 2.033  C3 1.071
13 H -0.624 -1.311 0.958  C3 1.087
14 H -1.876 0.060 -0.962  C4 1.117
15 H -0.674 -1.128 -1.582  C4 1.046
16 H -0.522 0.390 -2.133  C4 1.025
17 H 0.858 2.042 1.153  S9 1.471

The HOMO energy is -7.987 eV. Its LUMO energy is -0.252 eV. The value obtained for the HOMO-LUMO gap is 7.735 eV. The energy above the lowest of the compared OMol25 structures with the same formula, charge and spin is 442.4 kJ/mol.

Here are the natural (NBO) charges for atoms 1 to 8, given in e: -0.48, 0.51, -0.59, -0.58, -0.31, -0.35, -0.88, 0.94


[2]
Entry from the Open Molecules 2025 dataset: an isolated ion of composition C5H8N3 and charge +1 in a non-equilibrium geometry (ωB97M-V/def2-TZVPD).

Bonds (Å) are listed after each position.
CARTESIAN COORDINATES (ANGSTROEM)
1 C 1.269 0.054 1.411  N6 1.198, H9 1.088
2 C 0.748 -1.019 -1.048  N7 1.352, N8 1.329, H10 1.076
3 C -1.187 0.745 0.154  C4 1.582, C5 1.498, H11 1.091, H12 1.134
4 C -0.015 1.236 -0.788  C3 1.582, N7 1.510, H13 1.152, H14 1.067
5 C -0.869 -0.623 0.674  C3 1.498, N8 1.369, H15 1.123
6 N 1.738 0.443 0.380  C1 1.198, N7 1.379
7 N 1.136 0.260 -0.847  C2 1.352, C4 1.510, N6 1.379
8 N -0.072 -1.435 -0.088  C2 1.329, C5 1.369, H16 0.979
9 H 1.381 -0.139 2.475  C1 1.088
10 H 1.260 -1.746 -1.653  C2 1.076
11 H -1.284 1.595 0.831  C3 1.091
12 H -2.060 0.722 -0.570  C3 1.134
13 H -0.635 1.369 -1.750  C4 1.152
14 H 0.377 2.169 -0.449  C4 1.067
15 H -1.526 -1.236 1.349  C5 1.123
16 H -0.260 -2.395 -0.081  N8 0.979

The HOMO energy (alpha / beta) is -13.062 / -13.063 eV. Its LUMO energy (alpha / beta) is -4.698 / -4.698 eV. The value obtained for the HOMO-LUMO gap (alpha / beta) is 8.364 / 8.365 eV. The energy above the lowest of the compared OMol25 structures with the same formula, charge and spin is 572.6 kJ/mol. Its net charge is +1.

Here are the natural (NBO) charges for atoms 1 to 8, given in e: 0.22, 0.19, -0.51, -0.21, 0.00, -0.17, -0.31, -0.42


[3]
Entry from the Open Molecules 2025 dataset: an isolated ion of composition C5H8N3O and charge +1 in a non-equilibrium geometry (ωB97M-V/def2-TZVPD).

Bonds (Å) are listed after each position.
CARTESIAN COORDINATES (ANGSTROEM)
1 C -0.191 -2.012 0.296  N2 1.493, H10 1.025, H11 1.019, H12 1.053
-- stop --
At Global Vision Technologies we are inspired every day by the dedication and commitment of the social workers we are privileged to work with. It is no secret that, for the most part, social workers are overworked, underpaid, and constantly immersed in human suffering. Why do they do it? What motivates them to work such long hours under constant scrutiny facing opposition from supervisors, regulators, and the clients themselves? In their own words, here’s what social workers told us about why they do what they do.
Topics: Social Services Industry News, Insider, FAMCare
PERFECT... is a perception - You must allow your children to fail
Do You Allow Your Children to Fail?
These days our children’s lives read like a Hollywood movie. People are trying to script their children’s lives. In some cases - they are not allowed to fail. It starts young, if they are sports minded, they have to grow up to be the next Tiger Woods. If they are smart, they are pushed to be a rocket scientist or similar.
<<<
{"formula": "C19H41BrN4O4P", "method": "ωB97M-V/def2-TZVPD", "orbital_gap_ev": 8.45, "energy_ha": -4183.67396, "charge": 1, "e_lumo_ha": -0.110, "elements": ["C", "P", "C", "N", "C", "N", "C", "C", "O", "N", "C", "C", "C", "C", "C", "C", "O", "O", "C", "C", "C", "C", "Br", "H", "H", "H", "H", "H", "H", "H", "H", "H", "H", "H", "H", "H", "H", "H", "H", "H", "H", "H", "H", "H", "H", "H", "H", "H", "H", "H", "H", "H", "H", "C", "C", "C", "O", "C", "N", "H", "H", "H", "H", "H", "H", "H", "H", "H", "H", "H"], "positions_angstrom": [[1.13292, -1.14879, 1.92731], [-0.31436, -1.98490, 1.18679], [-1.61943, -0.88614, 1.83205], [-0.25244, -1.58645, -0.59797], [-1.35249, -1.03122, -1.15085], [-2.52404, -1.64269, -1.01970], [-3.80238, -1.10384, -1.48226], [-4.10451, -1.40475, -2.95130], [-3.71290, -2.69298, -3.37671], [-1.30284, 0.14404, -1.86490], [-0.29211, 1.09527, -1.35499], [1.07940, 0.48112, -1.01376], [2.28774, 1.13721, -1.71772], [2.15850, 1.50767, -3.21645], [3.16366, 0.81963, -4.15914], [4.55669, 0.76804, -3.59860], [5.14174, -0.25570, -3.38460], [5.15043, 1.98021, -3.38506], [1.02587, -1.04943, -1.15366], [1.21749, -1.51180, -2.60874], [0.89435, -2.98373, -2.89481], [-0.35709, -3.18253, -3.74911], [-0.27875, -2.21977, -5.42524], [1.01763, -0.06615, 2.00206], [2.07548, -1.42335, 1.46052], [1.13807, -1.54905, 2.94558], [-1.61200, 0.14347, 1.46916], [-2.59291, -1.34242, 1.64498], [-1.47348, -0.89838, 2.91548], [-2.50507, -2.53138, -0.53945], [-4.57890, -1.54316, -0.85142], [-3.81343, -0.02931, -1.29324], [-3.63943, -0.65293, -3.59307], [-5.18764, -1.29954, -3.07866], [-3.55070, -3.27508, -2.63030], [-1.27831, -0.01172, -2.86817], [-0.72434, 1.51902, -0.44597], [-0.23216, 1.91866, -2.06439], [1.23200, 0.66675, 0.05146], [3.15797, 0.50057, -1.53242], [2.46931, 2.06763, -1.17183], [1.16088, 1.31604, -3.61435], [2.31375, 2.58533, -3.31366], [2.86660, -0.19015, -4.43745], [3.19820, 1.39665, -5.08838], [4.67904, 2.47420, -2.70391], [1.86085, -1.49164, -0.60944], [2.27515, -1.35536, -2.82176], [0.67787, -0.85610, -3.29254], [0.74906, -3.56099, -1.97754], [1.73491, -3.42738, -3.43174], [-1.25573, -2.86026, -3.22206], [-0.48884, -4.23129, -4.00896], [-0.51786, 2.77496, 6.82887], [0.53786, 2.16794, 5.91106], [0.22260, 2.31841, 4.41778], [-0.77736, 1.43805, 3.92391], [-2.11224, 1.85869, 4.15260], [0.76761, 0.77676, 6.30636], [-1.40205, 2.14151, 6.90199], [-0.11642, 2.88256, 7.83483], [-0.82823, 3.76185, 6.48106], [1.47203, 2.71162, 6.07887], [1.12665, 2.07196, 3.85321], [-0.04117, 3.35516, 4.17412], [-2.20026, 2.94683, 4.10163], [-2.48832, 1.51267, 5.11703], [-2.73513, 1.42138, 3.37077], [1.55591, 0.39503, 5.79214], [-0.03290, 0.22342, 6.01464]]}
>>>
== The records of molecules stop here ==
Topics: Child Welfare, Foster Care, Fun Stuff
As social services has expanded beyond the single practitioner trying to make a difference, social workers are called upon to share client information with colleagues to facilitate coordination of services.
Topics: Technology Speak, HIPAA Compliant
How Bad Beliefs...
On August 22, 1996 President Bill Clinton signed into law legislation that replaced Aid to Families with Dependent Children with Temporary Assistance for Needy Families. The new bill was supposed to reform welfare. At that time, most Americans believed that poverty was the fault of the poor and that it wasn’t fare for hard working people to be burdened with supporting “freeloaders”. Welfare had become a dirty word. TANF was designed to counter this objection by adding a work requirement to the welfare eligibility requirements. Now social workers are required to help anyone who can work to find a job and only approve welfare assistance when it is clear to the social worker that no job is available.
Topics: Social Services Industry News